Fall flavors! Traditional cranberry sauce with the addition of Granny Smith apples. The pectin in the apples helps the sauce to set and brings another...
This is a quick and easy cranberry sauce recipe that will please the entire family. You will never buy canned cranberry sauce again! Prepare up to two...
This bright pink applesauce is simple enough for a weeknight supper and festive enough for special occasions. It's a favorite with my family and friends...
This is a variation on classic, fresh Ocean Spray® cranberry sauce! My grandma has made it for years and people who don't like cranberry sauce request...
Super easy and a huge hit! I make this spiced cranberry sauce every Thanksgiving and Christmas. Tart and spicy! The spices just add to the overall holiday...
Refreshingly sweet, tart and tangy - this recipe is incredibly easy and it's a great change of pace from the usual boring cranberry sauce. The flavor of...
This has been a 'trade secret' for years, but it's so good I decided to share it! It's everyone's favorite, and can even be poured over a block of cream...
This is a sweet (pear) sauce with a little kick (cranberry) in it; a wonderful chutney for just about any type of meat you can think of. This will be replacing...
This is my recipe for a very tasty and unique cranberry sauce. It was this recipe that converted my 'we only want the jellied sauce in can' family into...
This is my mother's recipe. Each year, she would make this for an auction. Her sauce usually sold for $12.00 an 8-ounce jar! Tastes best when it has had...
Next to the article, the page also holds records of crystals:
- - -
Entry 1:
Starting from a PBE-relaxed structure, the powder diffractogram of PuH6Br12 was computed for λ = 1.5418 Å (Cu Kα).

Most intense lines, 2θ = 5–70°, by intensity:
Position (°2θ), I (rel.)
24.54, 100
9.99, 73
13.99, 73
31.75, 59
32.17, 52
14.30, 46
46.24, 33
52.17, 30
49.92, 26
20.06, 26
37.73, 24
17.22, 24

Cell lengths 8.858, 8.858, 8.858 Å; angles 91.19, 91.19, 91.19 degrees
Fractional positions:
Pu 0.000 0.000 0.000
H 0.294 0.505 0.315
H 0.315 0.294 0.505
H 0.495 0.685 0.706
H 0.505 0.315 0.294
H 0.685 0.706 0.495
H 0.706 0.495 0.685
Br 0.063 0.723 0.908
Br 0.092 0.937 0.277
Br 0.189 0.395 0.535
Br 0.277 0.092 0.937
Br 0.395 0.535 0.189
Br 0.465 0.811 0.605
Br 0.535 0.189 0.395
Br 0.605 0.465 0.811
Br 0.723 0.908 0.063
Br 0.811 0.605 0.465
Br 0.908 0.063 0.723
Br 0.937 0.277 0.092

***

Entry 2:
Starting from a PBE-relaxed structure, the powder diffractogram of TmTlIrO6 was computed for λ = 1.5418 Å (Cu Kα).

Most intense lines, 2θ = 5–70°, by intensity:
Position (°2θ), I (rel.)
26.78, 100
32.45, 55
51.45, 42
42.55, 29
54.51, 29
57.88, 16
38.81, 9
63.17, 9
37.93, 8
19.12, 7
67.94, 7
61.54, 2

Cell lengths 5.519, 5.519, 9.282 Å; angles 90.00, 90.00, 120.00 degrees
Fractional positions:
Tm 0.333 0.667 0.250
Tm 0.667 0.333 0.750
Tl 0.000 0.000 0.000
Tl 0.000 0.000 0.500
Ir 0.333 0.667 0.750
Ir 0.667 0.333 0.250
O 0.035 0.380 0.632
O 0.035 0.655 0.868
O 0.345 0.380 0.868
O 0.345 0.965 0.632
O 0.380 0.035 0.132
O 0.380 0.345 0.368
O 0.620 0.655 0.632
O 0.620 0.965 0.868
O 0.655 0.035 0.368
O 0.655 0.620 0.132
O 0.965 0.345 0.132
O 0.965 0.620 0.368
- - -
The records of crystals stop here:
This recipe was graciously shared with me by a Jamaican friend, many years ago. It makes a delicious sauce, different from any other cranberry sauce I've...
This is my version of a cranberry relish that my mom made when I was a kid. If you can, make it 1 or 2 days in advance, as the flavors need to mellow a...
This is a delicious fruit-filled version of cranberry sauce. The pomegranate is cooked separately to facilitate seed removal, then both parts are combined...
This zesty sauce is a favorite of all our family and friends. It's simple to make, and good with the turkey or on leftover turkey or chicken sandwiches....
This is a recipe my boss handed down to me, and I have made these cranberries for every Christmas and Thanksgiving for the last 10 years. I always pour...
The warmth of the ginger and cloves and the brightness of the orange zest come together to make this a family favorite! You can use frozen cranberries...
• Crystal structures from another source follow:
+++
This entry pairs a crystal structure of Fe3RuI9 with its simulated powder diffractogram. Radiation: Cu Ka. Structure: a structure optimized by DFT (GGA-PBE).

```
data_Fe3RuI9
_chemical_formula_sum 'Fe12 Ru4 I36'
_cell_length_a 18.9315
_cell_length_b 9.9181
_cell_length_c 13.8025
_cell_angle_alpha 90.00
_cell_angle_beta 128.01
_cell_angle_gamma 90.00
_symmetry_space_group_name_H-M 'C 1 c 1'
_symmetry_Int_Tables_number 9
_symmetry_space_group_name_Hall 'C -2yc'
loop_
_atom_site_label
_atom_site_type_symbol
_atom_site_fract_x
_atom_site_fract_y
_atom_site_fract_z
Fe1 Fe 0.0000 0.0443 0.0000
Fe2 Fe 0.1407 0.4273 0.9542
Fe3 Fe 0.3918 0.1135 0.5902
Ru1 Ru 0.2657 0.2217 0.7754
I1 I 0.0229 0.2328 0.8856
I2 I 0.0621 0.3846 0.2823
I3 I 0.1243 0.0598 0.7120
I4 I 0.1638 0.4398 0.6351
I5 I 0.2572 0.0971 0.5931
I6 I 0.2710 0.3091 0.9713
I7 I 0.3723 0.3564 0.5006
I8 I 0.3851 0.0321 0.9306
I9 I 0.4112 0.3619 0.8327
```

Most intense lines, 2θ from 15° to 90°, in order of falling intensity:
2θ 15.5, intensity 100, (1 1 1); 2θ 25.5, intensity 75, (2 0 2); 2θ 25.3, intensity 65, (5 1 -2); 2θ 26.6, intensity 59, (2 2 -3); 2θ 27.5, intensity 57, (3 1 -4); 2θ 26.8, intensity 37, (4 2 -1); 2θ 30.0, intensity 35, (4 2 0); 2θ 39.8, intensity 32, (1 3 3); 2θ 25.9, intensity 32, (5 1 -3); 2θ 38.8, intensity 30, (7 1 -1)

This entry pairs a crystal structure of FeSbI with its simulated powder diffractogram. Radiation: Cu Ka. Structure: a structure optimized by DFT (GGA-PBE).

```
data_FeSbI
_chemical_formula_sum 'Fe2 Sb2 I2'
_cell_length_a 3.7788
_cell_length_b 3.8232
_cell_length_c 12.8001
_cell_angle_alpha 89.91
_cell_angle_beta 89.81
_cell_angle_gamma 61.93
_symmetry_space_group_name_H-M 'P -1'
_symmetry_Int_Tables_number 2
_symmetry_space_group_name_Hall '-P 1'
loop_
_atom_site_label
_atom_site_type_symbol
_atom_site_fract_x
_atom_site_fract_y
_atom_site_fract_z
Fe1 Fe 0.1687 0.1645 0.2229
Sb1 Sb 0.4928 0.4893 0.8853
I1 I 0.1698 0.1767 0.6559
```

Most intense lines, 2θ from 15° to 90°, in order of falling intensity:
2θ 27.3, intensity 100, (0 1 -1); 2θ 27.7, intensity 98, (1 0 -1); 2θ 30.8, intensity 95, (1 1 -2); 2θ 28.2, intensity 93, (1 1 1); 2θ 29.9, intensity 84, (0 1 2); 2θ 30.2, intensity 83, (1 0 2); 2θ 27.9, intensity 76, (0 0 4); 2θ 46.4, intensity 67, (1 -1 0); 2θ 47.6, intensity 61, (1 2 0); 2θ 48.2, intensity 60, (2 1 0)

This entry pairs a crystal structure of ScFe3I with its simulated powder diffractogram. Radiation: Cu Ka. Structure: a structure optimized by DFT (GGA-PBE).

```
data_ScFe3I
_chemical_formula_sum 'Sc1 Fe3 I1'
_cell_length_a 4.6097
_cell_length_b 4.6097
_cell_length_c 4.6097
_cell_angle_alpha 90.00
_cell_angle_beta 90.00
_cell_angle_gamma 90.00
_symmetry_space_group_name_H-M 'P m -3 m'
_symmetry_Int_Tables_number 221
_symmetry_space_group_name_Hall '-P 4 2 3'
loop_
_atom_site_label
_atom_site_type_symbol
_atom_site_fract_x
_atom_site_fract_y
_atom_site_fract_z
Sc1 Sc 0.0000 0.0000 0.0000
Fe1 Fe 0.0000 0.5000 0.5000
+++
• So much for the crystal structures:
A quick, simple, and delicious variation on cranberry sauce. This cranberry sauce is enriched with the wonderful flavor blend of fresh ginger and cinnamon...
Running out of time but not of flavor? Try this quick and easy homemade cranberry sauce, made in minutes in your Instant Pot®, that would make any chef...
Great semisweet recipe for those who prefer less white sugar in their cranberry sauce. The blueberries and raspberries give it an added flair. Great on...
This cranberry sauce has extra spices, diced fruits, and orange juice added to make it more exciting than plain old cranberries. Everyone always loves...
This wonderful and simple cranberry sauce is my grandmother's recipe. We had it every year at Thanksgiving and Christmas, and I predict you will have people...
Theoretical powder X-ray diffraction pattern of CrInO4 for CuKα, from a structure optimized by DFT (PBE+U).
Kinematic intensities with the Lorentz-polarization factor, no thermal factor.

Structural model:
Lattice parameters (Å, degrees): 4.970 4.727 5.978 90.00 90.00 90.00
Fractional positions:
Cr 0.000 0.000 0.000
Cr 0.000 0.500 0.500
In 0.500 0.000 0.622
In 0.500 0.500 0.122
O 0.153 0.240 0.189
O 0.153 0.260 0.689
O 0.293 0.695 0.417
O 0.293 0.805 0.917
O 0.707 0.195 0.917
O 0.707 0.305 0.417
O 0.847 0.740 0.689
O 0.847 0.760 0.189

Top 10 peaks for 10° ≤ 2θ ≤ 90°, most intense first:
| index | 2θ (°) | I/Imax |
| --- | --- | --- |
| 1 1 1 | 30.07 | 1000 |
| 0 1 1 | 24.00 | 261 |
| 1 2 2 | 52.70 | 169 |
| 0 0 2 | 29.89 | 147 |
| 2 2 0 | 53.51 | 144 |
| 1 0 2 | 35.03 | 132 |
| 3 1 1 | 61.29 | 124 |
| 0 1 3 | 49.65 | 122 |
| 1 3 1 | 63.91 | 107 |
| 2 0 2 | 47.59 | 107 |

~~~~~

Record 1
This entry pairs a crystal structure of Na6Sn3P with its computed PXRD pattern. Radiation: Cu Kα X-rays. Structure: DFT lattice parameters and positions (GGA-PBE).
Intensities are scaled so that the largest is 100.

Structural model:
Lattice parameters (Å, degrees): 9.176 6.286 13.109 90.00 132.26 90.00
Space group P2_1/c (No. 14)
Symmetry-distinct sites (fractional):
1 Na 0.097 0.113 0.429 x4
2 Na 0.254 0.575 0.439 x4
3 Na 0.373 0.743 0.231 x4
4 Sn 0.233 0.230 0.236 x4
5 Sn 0.500 0.000 0.500 x2
6 P 0.000 0.000 0.000 x2

Largest 12 diffraction maxima, in order of rising 2θ, 2θ = 10–90°:
Position (°2θ)	I/Imax
17.10	55
19.24	76
19.36	100
19.58	71
32.58	36
33.59	46
33.99	99
34.20	43
37.06	42
39.05	41
39.77	44
41.46	32

=====

Record 2
This entry pairs a crystal structure of Tb9YTh2 with its computed PXRD pattern. Radiation: Cu Kα X-rays. Structure: DFT lattice parameters and positions (GGA-PBE).
Intensities are scaled so that the largest is 100.

Structural model:
Lattice parameters (Å, degrees): 5.045 5.045 15.076 90.00 90.00 90.00
Space group P4/mmm (No. 123)
Symmetry-distinct sites (fractional):
1 Tb 0.000 0.000 0.000 x1
2 Tb 0.000 0.000 0.333 x2
3 Tb 0.000 0.500 0.169 x4
4 Tb 0.000 0.500 0.500 x2
5 Y 0.500 0.500 0.000 x1
6 Th 0.500 0.500 0.334 x2

Largest 12 diffraction maxima, in order of rising 2θ, 2θ = 10–90°:
Position (°2θ)	I/Imax
30.74	100
35.59	34
35.73	17
51.22	12
51.32	24
60.93	29
61.12	14
64.02	12
83.56	6
83.72	12
86.27	11
86.55	6

=====

Record 3
This entry pairs a crystal structure of PrDy4Ho6 with its computed PXRD pattern. Radiation: Cu Kα X-rays. Structure: DFT lattice parameters and positions (GGA-PBE).
Intensities are scaled so that the largest is 100.

Structural model:
Lattice parameters (Å, degrees): 5.694 9.615 25.638 90.00 90.00 90.00
Space group Cmcm (No. 63)
Symmetry-distinct sites (fractional):
1 Pr 0.000 0.184 0.250 x4
2 Dy 0.000 0.158 0.542 x8
3 Dy 0.000 0.474 0.621 x8
4 Ho 0.000 0.145 0.680 x8
5 Ho 0.000 0.187 0.102 x8
6 Ho 0.000 0.481 0.750 x4
7 Ho 0.000 0.500 0.000 x4
You can use this for a quick healthy snack or serve it up at any meal. It's incredibly quick and easy and there's no worrying about calories. The best...
A family recipe we have used for years. We love it as a side dish to our turkey on Thanksgiving day. Also goes well on chicken, pork, and beef. Makes a...
I've been making these cranberries for nearly 30 years. It's the first thing I prepare for Thanksgiving and Christmas. I make them the weekend before so...